I had just gotten into bed after a long Saturday that saw me checking off a bunch of my Gotta-Do list when my phone started pinging. Message after message came in from a benzo buddy across the country. It was late his time, but clearly his excitement kept him from sleeping. “Read this!” he wrote. “Is this the cure for benzo withdrawal?” The link he sent propelled me down a rabbit hole of some very interesting findings.

Researchers have been studying how to minimize the damage of alcohol on GABA receptors. it’s been noted that an HDAC (histone deacetylase) inhibitor seems to protect and possibly upregulate damaged GABA receptors. At least in mice, that is. One drug, in particular, an antibiotic/antifungal drug with HDAC inhibiting properties, seemed to have the best efficacy. There was also an experiment done on mice regarding benzodiazepines, with the outcome stated, “… furthermore, understanding the role of HDAC inhibitors in benzodiazepines tolerance and the downregulation of GABAA subunit expression may uncover new therapeutic targets to prevent tolerance, dependence and/or withdrawal syndrome.” But before you get your hopes up that a cure for benzo withdrawal has been found, let’s first look at the obstacles, then move on to what’s more possible.

Unrelated to this entry: crystal structures >
┌──
DFT (PBEsol) results for a relaxed structure of TaHgAs2.

## Properties
formation energy: 0.210 eV/atom
size of the total moment: 0.0 μB/f.u.
N(E_F): 4.2 states/eV per cell

CIF file:
```
data_TaHgAs2
_chemical_formula_sum 'Ta2 Hg2 As4'
_space_group_name_H-M_alt 'C m m 2'
_space_group_IT_number 35
_cell_length_a 3.4477
_cell_length_b 4.7202
_cell_length_c 9.4813
_cell_angle_alpha 90.00
_cell_angle_beta 90.00
_cell_angle_gamma 90.00
loop_
_space_group_symop_operation_xyz
'x,y,z'
'-x,-y,z'
'-x,y,z'
'x,-y,z'
'x+1/2,y+1/2,z'
'-x+1/2,-y+1/2,z'
'-x+1/2,y+1/2,z'
'x+1/2,-y+1/2,z'
loop_
_atom_site_label
_atom_site_type_symbol
_atom_site_fract_x
_atom_site_fract_y
_atom_site_fract_z
Ta1 Ta 0.0000 0.0000 0.0000
Hg1 Hg 0.0000 0.5000 0.2462
As1 As 0.0000 0.0000 0.4869
As2 As 0.0000 0.5000 0.7896
```

=====

DFT (PBEsol) results for a relaxed structure of OsAuBr2.

## Properties
energy relative to the lowest polymorph listed for this composition: 490 meV per atom
size of the total moment: 0.0 μB/f.u.
raw formation energy: 488 kJ/mol of formula units
N(E_F): 6.1 states/eV per cell

CIF file:
```
data_OsAuBr2
_chemical_formula_sum 'Os2 Au2 Br4'
_space_group_name_H-M_alt 'I 4/m m m'
_space_group_IT_number 139
_space_group_name_Hall '-I 4 2'
_cell_length_a 4.6999
_cell_length_b 4.6999
_cell_length_c 6.4897
_cell_angle_alpha 90.00
_cell_angle_beta 90.00
_cell_angle_gamma 90.00
loop_
_atom_site_label
_atom_site_type_symbol
_atom_site_fract_x
_atom_site_fract_y
_atom_site_fract_z
Os1 Os 0.0000 0.0000 0.0000
Au1 Au 0.0000 0.0000 0.5000
Br1 Br 0.0000 0.5000 0.2500
```


1.
A geometry-optimized SmDy4Cd structure. Source: Alexandria via LeMat-Bulk, functional GGA-PBE.

abc: 6.060 6.060 11.739
angles: 75.44 75.44 60.28
Fractional coordinates of all 12 atoms:
Dy (0.836, 0.325, 0.498)
Dy (0.419, 0.250, 0.751)
Sm (0.000, 0.500, 0.000)
Dy (0.750, 0.581, 0.749)
Cd (0.079, 0.921, 0.750)
Dy (0.675, 0.164, 0.002)
Dy (0.164, 0.675, 0.502)
Cd (0.921, 0.079, 0.250)
Dy (0.581, 0.750, 0.249)
Dy (0.250, 0.419, 0.251)
Dy (0.325, 0.836, 0.998)
Sm (0.500, 0.000, 0.500)

Results
relative energy among the computed polymorphs = 0.064 eV/atom
DFT formation energy = -0.2 eV/f.u.

***

2.
A geometry-optimized Th6C5F structure. Source: Alexandria via LeMat-Bulk, functional GGA-PBE.

abc: 6.559 6.559 6.560
angles: 99.69 99.69 120.08
Fractional coordinates of all 12 atoms:
C (0.173, 0.827, 0.500)
Th (0.915, 0.570, 0.744)
Th (0.739, 0.739, 0.261)
C (0.335, 0.665, 0.000)
C (0.500, 0.500, 0.500)
Th (0.570, 0.915, 0.744)
Th (0.085, 0.430, 0.256)
Th (0.430, 0.085, 0.256)
C (0.665, 0.335, 0.000)
F (0.000, 0.000, 0.000)
C (0.827, 0.173, 0.500)
Th (0.261, 0.261, 0.739)

Results
energy relative to the elements, uncorrected = -0.72 eV/atom

***

3.
A geometry-optimized CePmPd14 structure. Source: Alexandria via LeMat-Bulk, functional GGA-PBE.

abc: 5.846 5.846 7.856
angles: 90.00 90.00 90.00
Fractional coordinates of all 16 atoms:
Pd (0.628, 0.628, 0.760)
Pd (0.628, 0.122, 0.240)
Pd (0.375, 0.375, 0.000)
└──

First, the experiments are being done on mice. Human’s aren’t mice. There is no way to know if we’d respond the same to the drug. Second, we don’t know if the drug comes with its own side effects or longterm damage. Third, the drug hasn’t been used on humans (some trials are being done, but the drug isn’t in widespread use). Those obstacles seem pretty insurmountable, and any promise of helping repair our damaged GABA receptors seems out of reach. But don’t despair. There is good news.

There are published reports of HDAC inhibitors found in…ready for this? Plants that we eat! Right now, your refrigerator and pantry probably have a few food items that are known to be HDAC inhibitors. For over a year now, I’ve been encouraging my clients to go whole-food plant-based. (I went WFPB over a year ago and the results have been amazing!)The health benefits are extraordinary: plants don’t create inflammation as animal protein does, and they don’t turn on the sympathetic nervous system response of fight or flight. You read that right. Eating eggs, dairy, or flesh, activates the sympathetic nervous system. No one in benzo withdrawal needs that! A whole-food plant-based diet has been proven to reverse heart disease, diabetes, some cancers, autoimmune disorders, even early-stage Alzheimers. It’s the most healthy diet anyone can eat. And now we have this wonderful new research that may (fingers crossed!) mean that eating a whole-food plant-based diet will help in some way to upregulate our GABA receptors.

Foods that have HDAC inhibiting properties are garlic, turmeric, onions, broccoli, cabbage, Brussel sprouts, kale, and a variety of fruit, to name a few. When we eat a whole-food plant-based diet (no cooking oils, nothing from an animal, minimally processed foods) we give our body what it needs in order to heal and possibly have the best chance to upregulate our damaged GABA receptors. I’ve been working on an anti-anxiety cookbook, The Gentle Kitchen, but now, with this new research, I will also include recipes that will be focused on helping with GABA repair.

I might add that after I went whole-food plant-based, a decades-long digestion problem righted itself. Nerve pain that would wake me from my deepest slumber completely disappeared. I gained more energy and stamina, my mind was much clearer, and I felt a lightness of being that is hard to describe, but was noticeable to my friends and family. They could tell something had changed for the better.

Along with the cookbook, I’m creating YouTube content for overcoming anxiety and how to prepare whole foods. It will launch in the next few weeks. I hope that you will follow along for some tips to helping your nervous system, and recipes for eating the foods that help, at least in theory, reboot your damaged GABA receptors.

(Next to the entry, the page also holds materials data)
+++
Entry 1:
This record from the Alexandria database describes a crystal of LaAl2Hg2 relaxed with PBEsol. The functional is meta-GGA SCAN.

a = 4.5028 Å, b = 4.5028 Å, c = 10.9160 Å
α = 90.00°, β = 90.00°, γ = 90.00°
Closest atoms and distances in Å follow each position.
Space group I4/mmm (No. 139)
Unique sites:
La  0.0000  0.0000  0.0000  8 Al 3.42, 8 Hg 3.54
Al  0.0000  0.0000  0.3847  1 Al 2.52, 4 Hg 2.69
Hg  0.0000  0.5000  0.2500  4 Al 2.69

---

Entry 2:
This record from the Alexandria database describes a crystal of LaAlHg2 relaxed with PBEsol. The functional is meta-GGA SCAN.

a = 4.5769 Å, b = 4.5769 Å, c = 16.0024 Å
α = 90.00°, β = 90.00°, γ = 120.00°
Closest atoms and distances in Å follow each position.
Space group R-3m (No. 166, hexagonal axes)
Unique sites:
La  0.0000  0.0000  0.0000  6 Hg 3.18
Al  0.0000  0.0000  0.5000  6 Hg 2.79
Hg  0.0000  0.0000  0.2230  3 Al 2.79

---

Entry 3:
This record from the Alexandria database describes a crystal of La2AlHgPb relaxed with PBEsol. The functional is meta-GGA SCAN.

a = 5.8111 Å, b = 5.8111 Å, c = 5.4116 Å
α = 90.00°, β = 90.00°, γ = 90.00°
Closest atoms and distances in Å follow each position.
Space group P4/mmm (No. 123)
Unique sites:
La  0.0000  0.5000  0.0000  2 Hg 2.91
Al  0.0000  0.0000  0.5000  8 La 3.97, 4 Pb 4.11
Hg  0.5000  0.5000  0.0000  2 Pb 2.71, 4 La 2.91
Pb  0.5000  0.5000  0.5000  2 Hg 2.71

---

Entry 4:
This record from the Alexandria database describes a crystal of LaZr2AlHg relaxed with PBEsol. The functional is meta-GGA SCAN.

a = 5.0562 Å, b = 5.0562 Å, c = 5.4220 Å
α = 90.00°, β = 90.00°, γ = 90.00°
Closest atoms and distances in Å follow each position.
Space group P4/mmm (No. 123)
Unique sites:
La  0.0000  0.0000  0.0000  2 Al 2.71
Zr  0.0000  0.5000  0.5000  2 Al 2.53
Al  0.0000  0.0000  0.5000  4 Zr 2.53, 2 La 2.71
Hg  0.5000  0.5000  0.0000  4 La 3.58, 8 Zr 3.71

---

Entry 5:
This record from the Alexandria database describes a crystal of LiAlHg4 relaxed with PBEsol. The functional is meta-GGA SCAN.

a = 8.2163 Å, b = 8.2163 Å, c = 8.2163 Å
α = 90.00°, β = 90.00°, γ = 90.00°
Closest atoms and distances in Å follow each position.
Space group F-43m (No. 216)
Unique sites:
Li  0.0000  0.0000  0.0000  12 Hg 3.41, 4 Al 3.56
Al  0.2500  0.2500  0.2500  12 Hg 3.41, 4 Li 3.56
Hg  0.1252  0.1252  0.6252  6 Hg 2.90-2.91

---

Entry 6:
This record from the Alexandria database describes a crystal of Li2AlHg2 relaxed with PBEsol. The functional is meta-GGA SCAN.

a = 7.3756 Å, b = 7.3756 Å, c = 3.2724 Å
α = 90.00°, β = 90.00°, γ = 90.00°
Closest atoms and distances in Å follow each position.
Space group P4/mbm (No. 127)
Unique sites:
Li  0.1555  0.3445  0.0000  6 Hg 2.65-2.75
Al  0.0000  0.0000  0.5000  4 Hg 2.83
Hg  0.1448  0.6448  0.5000  6 Li 2.65-2.75, 2 Al 2.83

Values from the calculation:
**Energy relative to the lowest polymorph listed for this composition**: 0 meV/atom

---
+++

Research links: https://www.ncbi.nlm.nih.gov/pmc/articles/PMC4210916/#!po=0.471698 (The Role of Dietary Histones Deacetylases (HDACs)inhibitors in Health and Disease

https://scholar.google.com/scholar?q=Histone+deacetylases+benzodiazepine+withdrawal&hl=en&as_sdt=0&as_vis=1&oi=scholart#d=gs_qabs&u=%23p%3D3AmVlKEEKN4J (Histone Deacetylases Benzodiazepine Withdrawal)

https://pubmed.ncbi.nlm.nih.gov/29520058/ (Histone Deacetylases mediate GABA A receptors expression, physiology, and behavioral maladaptations in rat models of alcohol dependence)